Saturday, 25 July 2015

Changing World of Technology : Be Future Ready.

The world of technology is changing Are you ready for it?
Technology is alive in new settings. It’s transforming. Evolving and taking on new shapes. Businesses and people are now growing hand in hand with technology.
Future-ready technology professionals are the need of the hour, and few organizations have the environment to nurture such talent.
Read on to know where you fit into this new world of technology.
The Digital Business Era : Stretch Your Boundaries
Today’s pioneering enterprises are doing more than just talking a good digital game. They are fundamentally changing the way they look at themselves and quickly mastering the shift from “me” to “we.”
Proactive corporate leaders see their businesses, employees and customers as a living, breathing digital fabric offering unprecedented opportunity to establish beachheads in new markets, drive profit and change life for the better.
Through the transformational power of this network, we’re witnessing the birth of a new era of “digital ecosystems.”
Digital Era can be mapped to five key trends: The Internet of Me, Outcome Economy, Platform (R)evolution, Intelligent Enterprise and Workforce Reimagined.
1. Internet of ME
As everyday objects and experiences become digitized, new frontiers of individualization are created.
Much of the Internet’s appeal lies in the personal power it bestows: “My” news feed, “My” playlist, “My” book recommendations, and so on. But as the saying goes, “You ain’t seen nothing yet.” Even more authentic and meaningful individual experiences await.
Look all around: booking tickets are going digital, the refrigerators and other comforts of home are getting brainier, and the next time you take yourself out to the ballgame, you may just receive a smartphone alert on which concession stand has the shortest line for hot dogs and beer.
Everyday gadgets and machines are increasingly interconnected and consumers are demanding more “smart” tech.
Those who embrace the Internet of Me will sustain higher customer engagement and, in turn, open up new avenues of growth.
2. Outcome Economy
The true digital disrupters know that getting ahead is no longer just about selling things. It’s about delivering results.
New intelligence, in hardware and a lot of other things, is bridging the last mile between the digital enterprise and the physical world.
Early adopters, coming face-to-face with the Internet of Things, are uncovering opportunities to embed hardware and sensors in their digital toolboxes. They’re reaping bottom-line benefits and making life better for employees and customers.
Hardware — yes, hardware — is playing a leading role. Today, hardware is flexing its muscles, demonstrating rapid advancements that carry echoes of the software revolution more than a decade ago.
3. Platform (R)evolution
Enterprises are carving out new playing fields thanks to rapid advances in cloud and mobility technology. Platform-based ecosystems are the new plane of competition.
What’s old is new again.
Over two centuries ago, the bricks-and-mortar factory was the primary platform that launched the Industrial Revolution. So it is with digital technology, which promises as much, if not more, disruption.
Today’s new and evolving platforms are essentially comprised of well-defined architecture, governance and services and underpinned by the latest digital “tools” – social, mobile, cloud, Internet of Things and others. The platforms serve as a pool of reusable capabilities to achieve better business outcomes.
4. Intelligent Enterprise
Software that learns and adapts is no longer a one-off project. It must be an all-encompassing effort that propels discovery and innovation throughout the enterprise.
For years, software’s expanding capabilities were geared primarily toward helping employees make better and faster decisions.
Amid the influx of data—along with advances in processing power, analytics and cognitive technology—software intelligence is helping automobiles, thermostats and other everyday things recognize, “think” and respond accordingly.
Greater operational excellence awaits those who grasp the upside potential. Indeed, three out of five global businesses believe big data will boost their decision-making and competitiveness, according to our research.
This evolution is taking shape at workplaces – where virtual “agents” help call centers run more efficiently – and at home – where Netflix algorithms plumb viewers’ past choices for suggestions on what they might enjoy watching.
5. Workforce Reimagined
As the digital revolution gains momentum, humans and machines must do more together. Successful businesses will embrace both as critical team members.
Ready for a self-improvement exercise?
As digital and physical worlds increasingly cross-pollinate, people are being transformed into “better versions” of themselves, at work and everywhere else.
How? For starters, we’re using machines to take on more challenging physical tasks and perform more efficiently.
Advances in robotics enable machines to not only communicate with humans, but also work side-by-side with them. It’s a division of labor that plays to strengths of both.
Smart devices and wearable technology can gather information on a person’s surroundings, supplement physical tasks and detect hazardous situations— potentially– saving lives.
This reimagined workforce poses tricky questions. The biggest may revolve around recognition and response as the entire operational chain shifts to a digitally-driven model.
Innovation and Transformation
Business and technology move at a high speed and companies and people need to reinvent themselves constantly. Innovation is the answer and one needs to proactively bring bold, new ideas to clients and to organizations.
Software is now a key driver of differentiation and innovation. It’s a gateway to new services and new revenue streams, seamless customer experiences and expansion into new markets. To succeed amidst disruption, companies must respond by changing the way they design, build and use software.
Be Future Ready
Some companies really know technology. They live it every day and know more than others. When businesses want to transform and become high performers, they take the help of such companies.
What makes such companies stand out?

- They have vision – they know what’s next, what to make of it, and how it’s going to impact businesses.
- They have the differentiated capabilities. They adopt, adapt, update and build the right tools.
- They have the right environment for innovation. it’s in their DNA. They nurture ideas, because that’s where the future lies.
- Most importantly, their people are future-ready. Everyone stays abreast of what’s new, getting trained and building their skills. Without people who stay at the forefront of technological innovations, transformation is not possible.

What can you do to become future ready?
– Align your technology skills with industries.
– Understand clients : this skill will set the stage for a successful career.
– Understand the business you’re in and then up-skill yourself regularly to stay relevant.
– Recognize new roles that are available and how they map back to the technology skills that you have and can learn.

Tuesday, 14 July 2015

9 Reasons Why Your CV is Not Impressing Recruiters!

1. Recruiters receive too many CV’s all the time
If you’re looking for a great job or any job that pays really well, you’re probably applying to opportunities that quite a lot of people are competing for. This means that the potential employer is getting a very large number of applications. While it may initially look exciting to the recruiter to have received such a large number of applications, it eventually gets difficult and very boring to go through all those applications.
Most candidates will also claim to be the best talent out there. So imagine what would happen if the recruiter started believing every word that is written in all those CV’s. There is no way to shortlist.
2. Most CV’s look very similar
I’ve been in a position several times where I’m looking at 2 candidate applications and thinking if both of them got the same person to write their CV’s. Identical stuff! I almost always expect it and that is the saddest part.
Starting with a useless objective statement, then mentioning their academic credentials followed by a boring-to-death description of their project (not mentioning their accomplishments though) and finally ending the CV with their hobbies which talks about things like “reading books”, “listening to music” and “watching TV”. This is how most CV’s are these days.
So when most CV’s look alike, the recruiter eventually stops believing most of the stuff that’s written there.
3. Tall claims on Behavioral Traits
When you claim in your CV that you have exceptional leadership, team, motivational or creativity skills, there must be some evidence, in the CV itself, to support that claim. While we all want to come across as pleasing and impressive personalities, sometimes it’s just overdone in the CV.
It’s mildly shocking for a recruiter to find such behavioral traits written in a fresher’s CV. Most of these traits maybe contextual, meaning that leadership and team skills may depend on the kind of work environment and people you’ve worked with.
If you’ve only worked on standard 6-week internship projects, that too alone and yet you claim to have top motivational skills then it’s not too convincing, is it? All such claims on behavioral traits make the CV look quite superficial and unbelievable at times.
4. Recruitment processes are Long and Tedious
A typical recruitment activity starts from deciding a Job Description and relevant Skills. That is followed by a long and tedious process of sourcing CV’s, shortlisting, evaluating, interviewing, internal discussions and reviews, job offers, salary negotiations and finally culminating with the suitable candidate actually joining the company. This may take up to a few months.
The CV is thus only 1 part of the entire flow, even though it may be the 1st window to your profile. Hence, it is hardly a surprise if a recruiter believes only so much in your CV. Even if a candidate is shortlisted, there may still be a thorough evaluation process waiting to happen.
5. Recruiters want to see beyond your CV writing Skills
Believe it or not, there are a large number of professional services out there ready to take your money and to jazz up your profile by writing a flashing CV for you. Almost like a makeover. If you’re profile is actually interesting but you don’t know how to communicate it well on paper, then some of these services might actually do you good.
However, if statistics are anything to go by, then it’s quite probable that the CV makes the candidate out to be a bigger hero than he/she may actually be. A recruiter typically finds this out the hard way, when an evaluation happens.
6. Not enough evidence of Functional Skills
Usually most CV’s have a section on Skills, but unfortunately a large number of candidates don’t use that section well. An employer wants to know what you can do, what kind of results you can deliver and how you’re going to be able to do that. All of this information starts with knowing the candidate’s skills.
Functional skills are your domain specific skills that you actually use in your work. They could be in Marketing, Finance, Sales, Operations or just about any other area of work. If you don’t know about your own functional skills, your strengths and weaknesses, then you don’t know your own capabilities and that leaves you at a disadvantage. Putting them in your CV comes next. If your CV does not have that information, then it’s clearly not telling the right things about you as a professional.
7. Most CV’s lack useful information
Candidates write about the projects that they’ve been a part of, but often they miss out on mentioning their own accomplishments. It’s one thing to say – “Worked on a market research project for ABC Corporation” and quite another to say something like “I Successfully conducted a 4 weeks quantitative market research activity, as part of a 3 member team, for a yet-to-launch mobile phone for the mass market in India.”
If a CV does not have this kind of information then most likely it’s not going to get you anywhere.
8. CV’s make the Recruiter do a lot of hard work
The first time a recruiter looks at your CV, he/she may typically spend between 10 to 20 seconds to form the first impression. After that the details are really looked into. If you’re making the recruiter hunt for information then you’re making his/her life more difficult that it already is. The relevant information should be obvious and easy to find. Isn’t that the whole purpose of the CV, to give away the right information and to easily make you look good?
In case you’re not doing that, then your CV is clearly not doing what it’s meant to.
9. There is no standardized way to evaluate and benchmark a CV
Finally, there is no standard way to evaluate and benchmark candidate profiles only on the basis of a CV. Each employer has his/her own checklist.
There are quite a few automated resume’ parsing solutions out there that scan your CV for key words, patterns and specific clues and shortlist based on those criteria. Now, CV’s can be made to work around such automated solutions, but you cannot fool your way through to a great career. If you temporarily beat a software tool, then you have the actual interviewer to impress which may not have a standard workaround.
These are 9 ways in which your CV may be failing you.

Friday, 3 July 2015

How Electricity turns into Binary Signals!

Matter is composed of atoms. Atoms have electrons and flow of these electrons is defined as electricity.
Now, to make use of these electrons, we create transistors which can store/free electricity as needed. They are stored in units of 1 (5 Volts) and 0 (0 Volts). An 8-bit number is then represented with 8 transistors. So 8-bit representation of the number 3 will be : 0000 0011. How is that achieved in hardware? Keep 8 transistors side-by-side (called registers and memory units). Make the first 6 transistors hold 0V and the next 2 transistors hold 5V. Now, an organization of such registers and memory makes a cpu+ram. To make it easy to compute using the CPU, we developed machine code. This language is what essentially runs on the CPU. What do I mean by "run"? It means, keep flipping bits. If I want to perform 2+3, in machine, I would store 2 in one register (register explained above) and 3 in another register. Then I would take these values to an Adder unit which would do a mathematical add (not the same as voltage addition) and give me the reply in another register. This is what a sample machine code would look like:
80 02 F3         
80 03 F4         
88 F3 F4 F5

Obviously, no one understood anything with this. So we came up with an ingenuous system to make it human readable. This is called assembly language. The following piece of code represents the above mentioned numbers:
ADD REG A, REG B, REG C (add A and B and store in C)

where MOVI = 80
          REG A = F3
          REG B = F4
          REG C = F5
          ADD = 88

_Misplaced records of crystals_
<<<
[1]
Entry from Alexandria via LeMat-Bulk: an optimized crystal structure of RbZrBr3 (PBE).

```
data_RbZrBr3
_cell_length_a 5.547
_cell_length_b 5.547
_cell_length_c 5.536
_cell_angle_alpha 90.00
_cell_angle_beta 90.00
_cell_angle_gamma 90.00
_space_group_name_H-M_alt 'P 4/m m m'
_space_group_IT_number 123
_space_group_name_Hall '-P 4 2'
loop_
_atom_site_label
_atom_site_fract_x
_atom_site_fract_y
_atom_site_fract_z
Rb1 0.000 0.000 0.000
Zr1 0.500 0.500 0.500
Br1 0.000 0.500 0.500
Br2 0.500 0.500 0.000
```

## Properties
The calculation puts the formation energy without anion corrections at -1180 meV/atom.

[2]
Entry from Alexandria via LeMat-Bulk: an optimized crystal structure of ReBr8 (PBE).

```
data_ReBr8
_cell_length_a 8.842
_cell_length_b 8.842
_cell_length_c 8.179
_cell_angle_alpha 90.00
_cell_angle_beta 90.00
_cell_angle_gamma 90.00
_space_group_name_H-M_alt 'I 4/m m m'
_space_group_IT_number 139
_space_group_name_Hall '-I 4 2'
loop_
_atom_site_label
_atom_site_fract_x
_atom_site_fract_y
_atom_site_fract_z
Re1 0.000 0.000 0.000
Br1 0.000 0.278 0.000
Br2 0.164 0.164 0.500
```

## Properties
The calculation puts the formation energy without anion corrections at 227 meV/atom.

[3]
Entry from Alexandria via LeMat-Bulk: an optimized crystal structure of Re2Br (PBE).

```
data_Re2Br
_cell_length_a 2.956
_cell_length_b 7.516
_cell_length_c 4.284
_cell_angle_alpha 90.00
_cell_angle_beta 90.00
_cell_angle_gamma 90.00
_space_group_name_H-M_alt 'P n n m'
_space_group_IT_number 58
_space_group_name_Hall '-P 2 2n'
loop_
_atom_site_label
_atom_site_fract_x
_atom_site_fract_y
_atom_site_fract_z
Re1 0.244 0.167 0.000
Br1 0.000 0.500 0.000
```

## Properties
The polymorph energy (0 for the lowest one) comes out at 916 meV/atom. The calculation puts the formation energy without anion corrections at 1226 meV/atom.

[4]
Entry from Alexandria via LeMat-Bulk: an optimized crystal structure of ReBr3 (PBE).

```
data_ReBr3
_cell_length_a 3.4466
_cell_length_b 3.4466
_cell_length_c 27.4896
_cell_angle_alpha 90.00
_cell_angle_beta 90.00
_cell_angle_gamma 120.00
_space_group_name_H-M_alt 'R -3 m'
_space_group_IT_number 166
_space_group_name_Hall '-R 3 2"'
loop_
_atom_site_label
_atom_site_fract_x
_atom_site_fract_y
_atom_site_fract_z
Re1 0.0000 0.0000 0.0000
Br1 0.0000 0.0000 0.2731
Br2 0.0000 0.0000 0.5000
```

## Properties
The polymorph energy (0 for the lowest one) comes out at 414 meV/atom. The calculation puts the formation energy without anion corrections at 454 meV/atom.

* * * * *

KLi2Te PBE relaxed; formation energy from raw total energies = -0.4581 eV per atom; N(E_F) = 4.17 states/eV per cell; total magnetization = 0.84 μB per formula unit
1.0
-0.608 -4.738 2.830
3.829 -2.413 -3.216
8.237 -0.909 5.695
K Li Te
2 4 2
direct
0.500 0.500 0.000
0.250 0.750 0.500
0.861 0.125 0.250
0.375 0.139 0.750
0.875 0.111 0.750
0.889 0.625 0.250
0.750 0.250 0.500
0.000 0.000 0.000

***
>>>

Now, assembly is too hard for humans to remember and code properly in. So they developed compilers that would convert a high level language like C to assembly language (remember, this assembly language does the actual flipping of bits)
So, a C representation of the above mentioned assembly would be:
    int a = 2; b = 3; 
    c = a+b;

Just like people could write poems with English and not with hand signs, we realized that with an expressive language, people could write some better programs. Then compile it to assembly. Then that would flip bits in registers. Which in turn would affect transistors, which affect flow of electrons. With the above found expressiveness, we wrote operating systems to maximize hardware usage, since it was seen that the CPU remained idle while we fetched data from disk. Everything from your keyboard input to mouse to desktop to windows to sound is a program written in such expressive languages, running on top of the OS. On the OS, we developed a network stack called TCP/IP. This stack provided a standardized methodology for computers to communicate with each other. Once that was working and we managed to hook computers to each other using cables, we went on to create WWW and http. This allowed people from different networks to communicate with each other. Note that http is a protocol. Servers and Clients are programs that follow (at least) http in addition to internal protocols.
When you type Google in the browser and hit Enter key, an http request is sent from your browser (the client) to Google (server). In your own computer, the browser is a program written in C/C++. This gets compiled to assembly (actually browser is already compiled, you're just giving input numbers to the compiled browser). The operating system (windows/linux etc) and device drivers are all already compiled to assembly and are running on your machine. When the browser assembly gets it's turn to run on the CPU, it runs the assembly. This assembly code does flipping of bits in registers and memory. The registers and memory are composed of transistors. Transistors control the flow of electrons and hence electricity.